## Work order
Work out how many lines further below have the word "La2TeO5" in them; a number is enough.
## Entries
<<<
## La2TeO5 (PBE)

Data for a relaxed La2TeO5 crystal.

Computed properties:
For the magnetization, the calculation gives 0.0 μB/f.u. The uncorrected formation energy comes out at -2279 meV per atom. The energy above the most stable polymorph in this dataset is 287.6 meV/atom.

```
data_La2TeO5
_symmetry_space_group_name_H-M 'I 4 m m'
_symmetry_Int_Tables_number 107
_symmetry_space_group_name_Hall 'I 4 -2'
_cell_length_a 5.7260
_cell_length_b 5.7260
_cell_length_c 7.3216
_cell_angle_alpha 90.00
_cell_angle_beta 90.00
_cell_angle_gamma 90.00
loop_
_atom_site_label
_atom_site_type_symbol
_atom_site_fract_x
_atom_site_fract_y
_atom_site_fract_z
La1 La 0.0000 0.5000 0.0000
Te1 Te 0.0000 0.0000 0.2443
O1 O 0.0000 0.0000 0.9845
O2 O 0.2502 0.2502 0.2140
```


# Rb3NaFe2Cl8

Crystalline Rb3NaFe2Cl8 at its relaxed geometry (GGA-PBE, Alexandria).

```
data_Rb3NaFe2Cl8
_chemical_formula_sum 'Rb3 Na1 Fe2 Cl8'
_cell_length_a 7.386
_cell_length_b 7.386
_cell_length_c 9.312
_cell_angle_alpha 90.00
_cell_angle_beta 90.00
_cell_angle_gamma 120.00
_space_group_name_H-M_alt 'P 1'
_space_group_IT_number 1
loop_
_space_group_symop_operation_xyz
'x,y,z'
loop_
_atom_site_label
_atom_site_fract_x
_atom_site_fract_y
_atom_site_fract_z
Rb1 0.000 0.000 0.000
Rb2 0.333 0.667 0.630
Rb3 0.667 0.333 0.370
Na1 0.000 0.000 0.500
Fe1 0.333 0.667 0.212
Fe2 0.667 0.333 0.788
Cl1 0.169 0.337 0.313
Cl2 0.169 0.831 0.313
Cl3 0.333 0.667 0.971
Cl4 0.337 0.169 0.687
Cl5 0.663 0.831 0.313
Cl6 0.667 0.333 0.029
Cl7 0.831 0.169 0.687
Cl8 0.831 0.663 0.687
```

Calculated values
SG: P-3m1 (164)
Spin magnetization in μB per cell: 8.00
Energy relative to the elements, uncorrected in eV/atom: -1.4045
Crystal system: trigonal
Raw total energy in eV/atom: -3.97


This record from Alexandria via LeMat-Bulk describes a geometry-optimized K4Pu3CrO12 structure. The functional is GGA+U.

The structure in CIF format:
```
data_K4Pu3CrO12
_cell_length_a 7.2552
_cell_length_b 7.2552
_cell_length_c 7.2552
_cell_angle_alpha 109.47
_cell_angle_beta 109.47
_cell_angle_gamma 109.47
_space_group_name_H-M_alt 'P 1'
_space_group_IT_number 1
loop_
_space_group_symop_operation_xyz
'x,y,z'
loop_
_atom_site_label
_atom_site_type_symbol
_atom_site_fract_x
_atom_site_fract_y
_atom_site_fract_z
>>>
## Response
2